For more than 30 years , inflation, that is to say the generalized and lasting rise in the prices of goods and services , has remained low . In France, it oscillated between 0 and 3%, even 4%. Sometimes, like in 2015-2016 and during the recent pandemic, it has even been zero or even slightly negative. Since the summer of 2021 , inflation has risen sharply.
Between two parts of the entry: materials data:
=====
# CrRh3 | the Alexandria database | GGA-PBEsol | relaxed
data_CrRh3
_chemical_formula_sum 'Cr1 Rh3'
_space_group_name_H-M_alt 'P -6 m 2'
_space_group_IT_number 187
_space_group_name_Hall 'P -6 2'
_cell_length_a 2.6565
_cell_length_b 2.6565
_cell_length_c 8.4426
_cell_angle_alpha 90.00
_cell_angle_beta 90.00
_cell_angle_gamma 120.00
loop_
_atom_site_label
_atom_site_fract_x
_atom_site_fract_y
_atom_site_fract_z
Cr1 0.0000 0.0000 0.0000
Rh1 0.0000 0.0000 0.5000
Rh2 0.6667 0.3333 0.2352
# N(E_F): 4.57 states/eV per cell
# calculated formation energy: -0.0743 eV per atom
# raw total energy: -8.739 eV/atom


# SrAsF3 | the Alexandria database | GGA-PBEsol | relaxed
data_SrAsF3
_chemical_formula_sum 'Sr1 As1 F3'
_space_group_name_H-M_alt 'P m -3 m'
_space_group_IT_number 221
_space_group_name_Hall '-P 4 2 3'
_cell_length_a 4.489
_cell_length_b 4.489
_cell_length_c 4.489
_cell_angle_alpha 90.00
_cell_angle_beta 90.00
_cell_angle_gamma 90.00
loop_
_atom_site_label
_atom_site_fract_x
_atom_site_fract_y
_atom_site_fract_z
Sr1 0.000 0.000 0.000
As1 0.500 0.500 0.500
F1 0.000 0.500 0.500
# formation energy from raw total energies: -42.03 kcal/mol of atoms
# N(E_F): 2.22 states/eV per cell
# raw total energy: -4.368 eV/atom


# CaTlCd3 | the Alexandria database | GGA-PBEsol | relaxed
data_CaTlCd3
_chemical_formula_sum 'Ca1 Tl1 Cd3'
_space_group_name_H-M_alt 'P m -3 m'
_space_group_IT_number 221
_space_group_name_Hall '-P 4 2 3'
_cell_length_a 5.430
_cell_length_b 5.430
_cell_length_c 5.430
_cell_angle_alpha 90.00
_cell_angle_beta 90.00
_cell_angle_gamma 90.00
loop_
_atom_site_label
_atom_site_fract_x
_atom_site_fract_y
_atom_site_fract_z
Ca1 0.000 0.000 0.000
Tl1 0.500 0.500 0.500
Cd1 0.000 0.500 0.500
# N(E_F): 3.16 states/eV per cell
# calculated formation energy: 0.2926 eV per atom
# raw total energy: -1.378 eV/atom


# Ca2MgCu3 | the Alexandria database | GGA-PBEsol | relaxed
data_Ca2MgCu3
_chemical_formula_sum 'Ca6 Mg3 Cu9'
_space_group_name_H-M_alt 'R -3 m'
_space_group_IT_number 166
_space_group_name_Hall '-R 3 2"'
_cell_length_a 5.4491
_cell_length_b 5.4491
_cell_length_c 13.0103
_cell_angle_alpha 90.00
_cell_angle_beta 90.00
_cell_angle_gamma 120.00
loop_
_atom_site_label
_atom_site_fract_x
_atom_site_fract_y
_atom_site_fract_z
Ca1 0.0000 0.0000 0.1227
Mg1 0.0000 0.0000 0.5000
Cu1 0.0000 0.5000 0.0000
# N(E_F): 9.31 states/eV per cell
# calculated formation energy: -0.0348 eV per atom
# relative energy among the computed polymorphs: 0.005 eV/atom
# raw total energy: -3.199 eV/atom


# GaFe3Ag | the Alexandria database | GGA-PBEsol | relaxed
data_GaFe3Ag
_chemical_formula_sum 'Ga1 Fe3 Ag1'
_space_group_name_H-M_alt 'P m -3 m'
_space_group_IT_number 221
_space_group_name_Hall '-P 4 2 3'
_cell_length_a 4.609
_cell_length_b 4.609
_cell_length_c 4.609
_cell_angle_alpha 90.00
_cell_angle_beta 90.00
_cell_angle_gamma 90.00
loop_
_atom_site_label
_atom_site_fract_x
_atom_site_fract_y
_atom_site_fract_z
Ga1 0.000 0.000 0.000
Fe1 0.000 0.500 0.500
=====
The materials data stop here:
Between July 2021 and July 2022, it rose from 1.5% to 6.8%, before slowing down slightly in August (6.5%). France remains below the euro zone level (9.1% in August 2022). In some small European countries, inflation reaches 10 or even 20%.
Central banks, attached to monetary stability, have long considered that the phenomenon would only be temporary. They had to adapt their strategy because inflation seems to be taking hold in the euro zone and outside the euro zone (more than 10% in the United Kingdom, 8.5% in the United States in July 2022). Why this sudden surge? Should we be worried about it? How to fight against this inflation? Is this the start of a new economic cycle?
Why is inflation suddenly high?
Western countries are emerging from a very long period of very low inflation. We must indeed go back to the 1980s to find the current levels.
The phenomenon of inflation is very complex. It does not mechanically obey the classical quantitative theory according to which inflation is first and foremost a monetary phenomenon (an increase in the quantity of money in circulation sooner or later implies a rise in inflation). During the long phase of very low key rates, the central banks largely contributed to monetary creation without this sharp increase in the money supply having moved inflation (excluding securities and real estate).
However, the sudden rise in inflation has many reasons, both cyclical and structural. The main short-term, and therefore rather transitory, reasons are:
- a phenomenon called “base effect” . Inflation is usually measured over one year and, following two years of pandemic, the level of inflation that serves as a reference is particularly low;
- reopening after the pandemic. Since the resumption of activity after the Covid crisis, consumers have caught up with some of their deferred demand. During such a recovery in demand, it is quite easy for companies to raise prices a little bit without losing customers. Reopening also has supply-side effects: re-establishing supply and transportation chains is time-consuming and expensive. China’s zero-Covid policy (closing factories, even entire cities as soon as a few cases appear) makes this process even more complicated. Stronger demand meets reduced supply: prices rise;
- the war in Ukraine. Since February 2022, the Russian military intervention in Ukraine has driven up the prices of many raw materials (oil, gas, oil, wheat). The drop in Ukrainian exports is drying up supply on the markets and pushing prices up. Moreover, the sanctions against Russia force many countries to reorganize their supplies, a complex and costly process;
- massive fiscal stimulus . In order to avoid the collapse of economies and to maintain incomes, many countries have widened their deficits to set up aid programs. Thus, in France, public spending jumped by 4% in 2021 after +5.1% in 2020. In 2022, the government launched an aid program to support purchasing power. Some countries have implemented exceptional recovery programs, notably the United States (to renovate infrastructure and reduce the carbon footprint). This public spending stimulates demand and accentuates inflationary pressure;
- the weakness of the single currency . The decline of the euro started in 2021 and accelerated in 2022 and the euro reached parity with the dollar. The euro also depreciated against other currencies such as the Swiss franc. This fall in the euro increases the price of imports, including the price of fossil fuels in particular, and thus reinforces the effect of imported inflation.
The main structural factors in favor of inflation are:
- the effect of “the law of supply and demand” . The pandemic has affected ways of life and work and has changed certain needs. Purchases of certain products (computer and electronic goods, home improvement equipment, etc.) surged during and after the pandemic and exceeded business inventories. Some components such as semiconductors are difficult to obtain, even out of stock: prices are rising;
- rising energy prices . After the lifting of Covid-related restrictions, energy prices rose massively. The consumer prices of gas, fuel and, to a lesser extent, electricity rose sharply in France between December 2020 and October 2021 (respectively by 41%, 21% and 3%). The trend continues in 2022: energy is, for more than a third, the main component of the inflation rate. The depletion of fossil fuels, as well as the ecological transition will continue to put energy prices under pressure;
- the monetary policy of central banks. To counter the various crises since 2008, the main central banks have practiced a monetary policy known as quantitative easing ( quantitative easing), their traditional tools (particularly lower interest rates and reserve requirements) proving insufficient. This unconventional policy consists of massive purchases of financial assets, including public debt, to inject maximum liquidity into the economy, in order to revive the economy and inflation. For a long time, this policy mainly created inflation in financial assets (particularly equities) and real estate. Today, the colossal volumes of liquidity thus created face an economy whose production potential is more limited than before (effects of the pandemic and more fragmented global economy).
How to explain the differences between countries?
While inflation has increased globally, the differences between countries are considerable. They are also observed within the euro zone, where the rise in prices varies from one to three. In August 2022, the annual inflation rate for the region as a whole stands at 9.1%, but it is 6.5% in France against 8.8% in Germany and even more than 20% in the three Baltic countries.
France is, for the moment, less affected by soaring prices, in particular thanks to nuclear power and the “tariff shield”. France is less dependent on imports of fossil fuels, particularly from Russia, and has a large nuclear fleet. The shutdown of certain power plants may however make the situation more complicated in the future. The tariff shield, put in place by the government to contain the sharp rise in the price of gas and the price of electricity (it will extend until January 31, 2023), makes it possible to contain the rise in prices, but weighs on public finances. Limited in time, it cannot eternally serve as protection against rising prices.
Moreover, the way in which competition operates in the various sectors varies from one country to another. Some countries have to deal with particularities (Germany had temporarily reduced its VAT rates during the pandemic). Next, the composition of the basket of goods and services varies between countries. Consuming more fossil fuels in the context of an increase in its price leads to a higher rate of inflation. Finally, the stage of development of the countries is also taken into account: the Baltic countries are still in a phase of strong growth which is accompanied by a high wage dynamic. A higher inflation rate is the consequence. Their geographical proximity to the conflict zone increases the pressure on prices.
Should we be worried about the return of inflation?
If wages are not indexed to the rise in prices, inflation always leads to a drop in purchasing power, which weighs above all at the bottom of the wage scale. The higher the proportion of constrained expenditure in the household budget, the less margin there is to counter the rise in prices. Inflation is therefore a very non-social phenomenon. This negative effect is limited if inflation remains moderate and steady: a regular low rise in the general level of prices is the main objective of the major central banks. The ECB sets as its optimal target an increase in inflation of around 2% per year.
Limited and regular inflation has certain advantages:
- households and businesses can easily anticipate price increases, which is favorable to decision-making, particularly investment;
- the monetary authorities can keep interest rates quite low , which is good for growth;
- households are instead encouraged to invest their excess liquidities , which makes savings available on the financial markets to finance new profitable activities .
On the other hand, adverse economic effects dominate if inflation rises faster. With an average in the euro zone of nearly 9%, inflation is far from moderate. The negative effects are therefore to be feared:
- countries experiencing a high rate of inflation lose competitiveness compared to countries where prices are rising more slowly; their exports decline at the risk of a deterioration in the trade balance;
- the level of uncertainty increases , which reduces growth potential: the higher the inflation, the more difficult it is to estimate the profitability of investments and a fall in their volume is to be feared;
- if activity declines, countries may enter stagnation or even recession. The rise in unemployment and the deterioration of public balances are the consequence.
Who benefits from high inflation?
Mechanically, inflation penalizes creditors and favors borrowers because the real level of their debt decreases (for a loan not indexed to inflation, the sum returned is depreciated money).
Similarly, savers are negatively affected, as their savings lose value. Benefit recipients may also lose out even if these are indexed to inflation. For example, for retirees and recipients of social benefits (social minima, etc.), the indexation of pensions or benefits is neither instantaneous nor automatic, it is decided by the government with a certain delay. For pensions, the revaluation, set at 4% from July 1, 2022 (it is added to the 1.1% increase in January 2022) is not retroactive. The loss of purchasing power of the previous months has therefore not been made up for.
Conversely, employees who obtain salary increases equivalent to inflation preserve their purchasing power. For those who take advantage of this to take out a loan with fixed monthly payments not indexed to inflation, the weight of their repayment in relation to income decreases.
To simplify, the losers of inflation are rather the elderly who depend on their retirement and their savings. Younger working people and those who go into debt can, on the other hand, be winners. Inflation therefore functions as a redistribution from the oldest to the youngest. This is exactly the opposite of the disinflation of the past few decades, which has rather favored older people.
We can also say that, under certain conditions, inflation is favorable to public finances and social funds:
- the rise in the price of goods increases VAT receipts, the rise in wages increases the sums collected in respect of social security contributions;
- the public debt is for the most part not indexed to inflation, which automatically lowers the value of the debt in relation to an increasing GDP.
These two arguments should be put into perspective according to the cause of inflation. When inflation is driven by demand and growth (as after the health crisis), tax revenues increase and debt is reduced. On the other hand, when inflation is caused by imported products (the current situation with the rise in the price of raw materials and energy), employment and growth are negatively affected. In this case, inflation is not good for public finances, because the whole economy becomes poorer.
How to fight against inflation?
Fighting inflation is not easy. The main instrument is monetary policy: central banks have tools to make money more expensive and to reduce the mass of liquidities in circulation. However, monetary policy always acts with a certain lag, so it cannot cancel out one-off inflation spikes. Furthermore, to bring down inflation resulting from a mismatch between the money supply and the volume of goods and services, it is also possible to practice a policy that favors supply. Its downside is that it takes a long time to show results.
In order to contain, or even bring down inflation, the main central banks have made a change in monetary policy to make it more restrictive: reduction in the volume of purchases of financial assets and increase in interest rates. In the United States, the Federal Reserve (the Fed) quickly moved in this direction. As of May 2022, it began raising rates, first by 25 basis points (a rate hike of 0.25), then by 75 basis points. The US monetary authorities are particularly firm in their desire to contain inflation. The European Central Bank (ECB) reacted later: a first rate hike on July 27, 2022, then a new hike decided on September 8, 2022.
The current turn in monetary policy is unprecedented, as it concerns all the major economic blocs in the world. Its success, however, is not certain. In theory, monetary tightening slows down activity, investment and the speed of circulation of liquidities and should therefore lower the level of monetary depreciation. Its impact on economic growth and employment also needs to be monitored.
However, if the phase of high inflation persists, economic agents risk anticipating persistently high inflation. A race between wages and prices, as well as the rise in selling prices simply to anticipate higher supplier prices, could be the consequence. These expectations are notably influenced by confidence in the monetary authorities to be able to guarantee price stability. For a long time, the hypothesis of the authorities, including European ones, was that of simply transitory inflation, a kind of post-Covid inflation. But faced with the persistence of inflation, central banks have adjusted their analysis. This lag in appreciation can harm their confidence.
What developments for the next few months?
Inflation, like other economic quantities, evolves in rather long cycles. The long phase of low inflation could not last forever. Globalization is no longer as vigorous as before. The dynamics of world trade are weakening and a fragmentation of trade seems to be taking shape. This development can weigh regionally on the overall supply: a lower supply in the face of stable demand puts pressure on prices. The role and objectives (monetary stability, growth, etc.) of the monetary authorities are also questionable. Finally, a possible return of what economists call “second-round effects”, that is to say a spiral of prices and wages, can no longer be ruled out.